<<<
Diffraction record for Nd2Zn5Ir5. The powder XRD pattern is computed, not measured: it uses a PBE-relaxed structure and Cu Ka.
No peak broadening, texture or thermal motion is included.

Main lines, by angle (10° ≤ 2θ ≤ 80°):
two_theta	I_rel
28.7	52
29.2	60
37.7	100
39.1	78
40.1	88
43.9	77
44.3	61
59.5	54

Atomic structure:
```
data_Nd2Zn5Ir5
_cell_length_a 4.0919
_cell_length_b 5.5832
_cell_length_c 9.1960
_cell_angle_alpha 90.00
_cell_angle_beta 90.00
_cell_angle_gamma 90.00
_symmetry_space_group_name_H-M 'P 1'
_symmetry_Int_Tables_number 1
_symmetry_space_group_name_Hall 'P 1'
loop_
_atom_site_label
_atom_site_type_symbol
_atom_site_fract_x
_atom_site_fract_y
_atom_site_fract_z
Nd1 Nd 0.0000 0.0000 0.0000
Nd2 Nd 0.0000 0.5000 0.5000
Zn1 Zn 0.0000 0.0000 0.3304
Zn2 Zn 0.0000 0.0000 0.6696
Zn3 Zn 0.0000 0.5000 0.1695
Zn4 Zn 0.0000 0.5000 0.8305
Zn5 Zn 0.5000 0.0000 0.5000
Ir1 Ir 0.5000 0.2450 0.2502
Ir2 Ir 0.5000 0.2450 0.7498
Ir3 Ir 0.5000 0.5000 0.0000
Ir4 Ir 0.5000 0.7550 0.2502
Ir5 Ir 0.5000 0.7550 0.7498
```

~~~~~

1.
Structure and calculated powder XRD pattern of MgP2RuO8 (the GGA-PBE geometry in Alexandria; CuKα).

Principal peaks in the range 2θ from 10° to 90°, by angle:
Position (°2θ), I/Imax
19.2, 29.6
20.2, 37.7
27.3, 100.0
34.2, 14.6
36.0, 53.4
41.1, 20.0
44.3, 20.3
48.1, 13.3
52.8, 15.4
54.1, 50.9
56.3, 15.2
68.7, 16.5

Structure:
```
12
Lattice="-3.266 3.266 2.964 3.266 -3.266 2.964 3.266 3.266 -2.964" Properties=species:S:1:pos:R:3 pbc="T T T"
Mg 0.000 0.000 0.000
P 0.000 0.000 2.964
P 0.000 3.266 1.482
Ru 3.266 0.000 1.482
O 2.078 3.266 -1.010
O 1.188 0.000 1.954
O 0.000 2.065 0.499
O 3.266 2.078 1.010
O 0.000 4.467 0.499
O 0.000 1.188 3.973
O -1.201 3.266 2.464
O 1.201 3.266 2.464
```

2.
Structure and calculated powder XRD pattern of Ba2AlBi5 (the GGA-PBE geometry in Alexandria; CuKα).

Principal peaks in the range 2θ from 10° to 90°, by angle:
Position (°2θ), I/Imax
14.7, 12.2
28.3, 8.5
29.7, 100.0
34.3, 18.0
34.4, 17.7
34.5, 16.9
49.4, 23.6
49.5, 11.5
58.5, 13.1
58.7, 12.8
58.8, 14.4
61.6, 11.2

Structure:
```
8
Lattice="5.201 -5.235 0.000 5.201 5.235 0.000 -5.193 0.000 5.218" Properties=species:S:1:pos:R:3 pbc="T T T"
Ba 5.201 2.619 0.000
Ba 5.201 -2.619 0.000
Al 1.685 0.000 2.610
Bi -2.598 0.000 5.008
Bi 2.599 2.818 2.608
Bi 4.950 0.000 2.608
Bi 2.599 -2.818 2.608
Bi 7.793 0.000 0.207
```

~~~~~

[1]
Computed X-ray powder pattern of PmPrDyTh for Cu Kα, 1.54184 Å, from a DFT-relaxed cell (GGA-PBE, Alexandria).
Kinematic intensities with the Lorentz-polarization factor, no thermal factor.

Main lines, most intense first (2θ from 10° to 90°):
d (Å)  2θ (°)  I_rel
2.958  30.2  100
2.556  35.1  34
1.542  60.0  29
1.813  50.3  24
2.573  34.9  17
1.550  59.7  13
1.807  50.5  12
1.479  62.8  12

Structural model:
Cell: 3.615 3.615 10.291 Å, 90.00 90.00 90.00°
Fractional coordinates of all 4 atoms:
Pm: 0.000 0.000 0.000
Pr: 0.500 0.500 0.267
Dy: 0.000 0.000 0.525
Th: 0.500 0.500 0.759


[2]
Computed X-ray powder pattern of Cs5Bi2F12 for Cu Kα, 1.54184 Å, from a DFT-relaxed cell (GGA-PBE, Alexandria).
Kinematic intensities with the Lorentz-polarization factor, no thermal factor.

Main lines, most intense first (2θ from 10° to 90°):
d (Å)  2θ (°)  I_rel
3.636  24.5  100
3.603  24.7  65
3.310  26.9  65
7.207  12.3  56
3.196  27.9  54
7.315  12.1  45
3.383  26.3  36
3.152  28.3  35

Structural model:
Cell: 8.460 8.460 7.235 Å, 94.35 94.35 59.54°
Fractional coordinates of all 19 atoms:
Cs: 0.000 0.000 0.000
Cs: 0.178 0.304 0.489
Cs: 0.341 0.382 0.984
Cs: 0.618 0.659 0.016
Cs: 0.696 0.822 0.511
Bi: 0.222 0.778 0.500
Bi: 0.715 0.285 0.500
F: 0.009 0.112 0.630
F: 0.067 0.711 0.704
F: 0.131 0.625 0.280
F: 0.289 0.933 0.296
F: 0.375 0.869 0.720
F: 0.435 0.496 0.653
F: 0.504 0.565 0.347
F: 0.526 0.213 0.329
F: 0.671 0.146 0.730
F: 0.787 0.474 0.671
F: 0.854 0.329 0.270
F: 0.888 0.991 0.370


[3]
Computed X-ray powder pattern of Hf5Sc3As8 for Cu Kα, 1.54184 Å, from a DFT-relaxed cell (GGA-PBE, Alexandria).
>>>

Your job: set down everything earlier on verbatim.

Diffraction record for Nd2Zn5Ir5. The powder XRD pattern is computed, not measured: it uses a PBE-relaxed structure and Cu Ka.
No peak broadening, texture or thermal motion is included.

Main lines, by angle (10° ≤ 2θ ≤ 80°):
two_theta	I_rel
28.7	52
29.2	60
37.7	100
39.1	78
40.1	88
43.9	77
44.3	61
59.5	54

Atomic structure:
```
data_Nd2Zn5Ir5
_cell_length_a 4.0919
_cell_length_b 5.5832
_cell_length_c 9.1960
_cell_angle_alpha 90.00
_cell_angle_beta 90.00
_cell_angle_gamma 90.00
_symmetry_space_group_name_H-M 'P 1'
_symmetry_Int_Tables_number 1
_symmetry_space_group_name_Hall 'P 1'
loop_
_atom_site_label
_atom_site_type_symbol
_atom_site_fract_x
_atom_site_fract_y
_atom_site_fract_z
Nd1 Nd 0.0000 0.0000 0.0000
Nd2 Nd 0.0000 0.5000 0.5000
Zn1 Zn 0.0000 0.0000 0.3304
Zn2 Zn 0.0000 0.0000 0.6696
Zn3 Zn 0.0000 0.5000 0.1695
Zn4 Zn 0.0000 0.5000 0.8305
Zn5 Zn 0.5000 0.0000 0.5000
Ir1 Ir 0.5000 0.2450 0.2502
Ir2 Ir 0.5000 0.2450 0.7498
Ir3 Ir 0.5000 0.5000 0.0000
Ir4 Ir 0.5000 0.7550 0.2502
Ir5 Ir 0.5000 0.7550 0.7498
```

~~~~~

1.
Structure and calculated powder XRD pattern of MgP2RuO8 (the GGA-PBE geometry in Alexandria; CuKα).

Principal peaks in the range 2θ from 10° to 90°, by angle:
Position (°2θ), I/Imax
19.2, 29.6
20.2, 37.7
27.3, 100.0
34.2, 14.6
36.0, 53.4
41.1, 20.0
44.3, 20.3
48.1, 13.3
52.8, 15.4
54.1, 50.9
56.3, 15.2
68.7, 16.5

Structure:
```
12
Lattice="-3.266 3.266 2.964 3.266 -3.266 2.964 3.266 3.266 -2.964" Properties=species:S:1:pos:R:3 pbc="T T T"
Mg 0.000 0.000 0.000
P 0.000 0.000 2.964
P 0.000 3.266 1.482
Ru 3.266 0.000 1.482
O 2.078 3.266 -1.010
O 1.188 0.000 1.954
O 0.000 2.065 0.499
O 3.266 2.078 1.010
O 0.000 4.467 0.499
O 0.000 1.188 3.973
O -1.201 3.266 2.464
O 1.201 3.266 2.464
```

2.
Structure and calculated powder XRD pattern of Ba2AlBi5 (the GGA-PBE geometry in Alexandria; CuKα).

Principal peaks in the range 2θ from 10° to 90°, by angle:
Position (°2θ), I/Imax
14.7, 12.2
28.3, 8.5
29.7, 100.0
34.3, 18.0
34.4, 17.7
34.5, 16.9
49.4, 23.6
49.5, 11.5
58.5, 13.1
58.7, 12.8
58.8, 14.4
61.6, 11.2

Structure:
```
8
Lattice="5.201 -5.235 0.000 5.201 5.235 0.000 -5.193 0.000 5.218" Properties=species:S:1:pos:R:3 pbc="T T T"
Ba 5.201 2.619 0.000
Ba 5.201 -2.619 0.000
Al 1.685 0.000 2.610
Bi -2.598 0.000 5.008
Bi 2.599 2.818 2.608
Bi 4.950 0.000 2.608
Bi 2.599 -2.818 2.608
Bi 7.793 0.000 0.207
```

~~~~~

[1]
Computed X-ray powder pattern of PmPrDyTh for Cu Kα, 1.54184 Å, from a DFT-relaxed cell (GGA-PBE, Alexandria).
Kinematic intensities with the Lorentz-polarization factor, no thermal factor.

Main lines, most intense first (2θ from 10° to 90°):
d (Å)  2θ (°)  I_rel
2.958  30.2  100
2.556  35.1  34
1.542  60.0  29
1.813  50.3  24
2.573  34.9  17
1.550  59.7  13
1.807  50.5  12
1.479  62.8  12

Structural model:
Cell: 3.615 3.615 10.291 Å, 90.00 90.00 90.00°
Fractional coordinates of all 4 atoms:
Pm: 0.000 0.000 0.000
Pr: 0.500 0.500 0.267
Dy: 0.000 0.000 0.525
Th: 0.500 0.500 0.759


[2]
Computed X-ray powder pattern of Cs5Bi2F12 for Cu Kα, 1.54184 Å, from a DFT-relaxed cell (GGA-PBE, Alexandria).
Kinematic intensities with the Lorentz-polarization factor, no thermal factor.

Main lines, most intense first (2θ from 10° to 90°):
d (Å)  2θ (°)  I_rel
3.636  24.5  100
3.603  24.7  65
3.310  26.9  65
7.207  12.3  56
3.196  27.9  54
7.315  12.1  45
3.383  26.3  36
3.152  28.3  35

Structural model:
Cell: 8.460 8.460 7.235 Å, 94.35 94.35 59.54°
Fractional coordinates of all 19 atoms:
Cs: 0.000 0.000 0.000
Cs: 0.178 0.304 0.489
Cs: 0.341 0.382 0.984
Cs: 0.618 0.659 0.016
Cs: 0.696 0.822 0.511
Bi: 0.222 0.778 0.500
Bi: 0.715 0.285 0.500
F: 0.009 0.112 0.630
F: 0.067 0.711 0.704
F: 0.131 0.625 0.280
F: 0.289 0.933 0.296
F: 0.375 0.869 0.720
F: 0.435 0.496 0.653
F: 0.504 0.565 0.347
F: 0.526 0.213 0.329
F: 0.671 0.146 0.730
F: 0.787 0.474 0.671
F: 0.854 0.329 0.270
F: 0.888 0.991 0.370


[3]
Computed X-ray powder pattern of Hf5Sc3As8 for Cu Kα, 1.54184 Å, from a DFT-relaxed cell (GGA-PBE, Alexandria).